Source:
____________
Entry 1:
{"formula": "C6H19IO4P2", "method": "ωB97M-V/def2-TZVPD", "symbols": ["C", "C", "I", "C", "P", "H", "H", "H", "H", "H", "H", "H", "H", "H", "H", "C", "O", "P", "O", "O", "C", "O", "C", "H", "H", "H", "H", "H", "H", "H", "H", "H"], "coordinates": [[-0.8416, 1.6729, 3.7414], [-0.1285, 0.9775, 2.5750], [0.8668, -0.7393, 3.4428], [0.9207, 1.8944, 1.9226], [0.4187, 3.7305, 1.7556], [-0.1110, 2.1790, 4.3705], [-1.3729, 0.9445, 4.3500], [-1.5661, 2.3967, 3.3624], [-0.8554, 0.6304, 1.8454], [1.0688, 1.5199, 0.9028], [1.8769, 1.7784, 2.4377], [-0.8418, 3.3264, 1.2110], [0.6486, 3.9789, 3.1327], [1.5373, 3.9804, 0.9230], [-0.0117, 5.1239, 1.6133], [-2.4258, -2.9049, -1.3099], [-1.2234, -2.1162, -1.1936], [-0.1692, -2.1555, -2.3836], [0.5066, -3.4590, -2.4358], [0.7679, -0.9797, -1.8179], [1.3375, -1.0984, -0.5160], [-0.3837, -1.5186, -3.8110], [0.7249, -1.6238, -4.7198], [-3.0850, -2.6064, -0.5001], [-2.9276, -2.7238, -2.2597], [-2.1834, -3.9624, -1.2145], [1.6295, -2.1262, -0.2986], [0.6348, -0.7404, 0.2351], [2.2242, -0.4674, -0.4893], [0.8503, -2.6532, -5.0466], [1.6368, -1.2598, -4.2515], [0.4766, -0.9987, -5.5733]], "forces_ev_per_angstrom": [[0.00, -0.42, -0.18], [0.27, 0.97, 0.63], [-0.10, -0.21, -0.28], [-0.32, -0.75, -0.34], [-0.06, 0.08, 0.07], [-0.06, 0.02, 0.10], [-0.11, 0.09, 0.04], [0.03, 0.09, 0.05], [0.07, -0.29, 0.03], [0.19, 0.15, -0.04], [0.03, 0.35, 0.07], [0.02, 0.01, -0.03], [-0.01, -0.04, 0.02], [0.00, -0.04, -0.04], [0.05, 0.01, -0.09], [0.02, -0.20, 0.17], [-1.47, 0.46, -1.54], [3.62, 0.07, 1.52], [-0.54, -0.26, -0.35], [-0.02, -0.03, -0.07], [0.10, 0.06, 0.05], [-1.67, 0.04, 0.36], [0.03, -0.06, -0.32], [0.06, 0.04, 0.03], [0.02, 0.03, -0.01], [0.04, 0.01, -0.04], [-0.07, -0.02, -0.01], [-0.05, -0.12, 0.02], [0.00, 0.00, -0.05], [0.01, -0.04, 0.11], [-0.02, -0.02, 0.07], [-0.06, 0.03, 0.05]], "smiles": "C[C@H](I)C[PH4].COP(=O)(OC)OC", "total_energy_ev": -41397.323}

Entry 2:
{"formula": "C14H11N5ReS3", "method": "ωB97M-V/def2-TZVPD", "symbols": ["Re", "S", "C", "S", "C", "C", "N", "C", "N", "C", "N", "C", "C", "N", "H", "H", "H", "H", "H", "H", "S", "C", "N", "C", "C", "C", "C", "C", "C", "H", "H", "H", "H", "H"], "coordinates": [[1.0956, -0.4194, 0.3422], [2.9096, 0.9479, 0.5333], [0.8432, 2.1139, -1.3829], [-0.6094, 0.7781, 0.8304], [0.8757, 2.1986, -2.7048], [-0.1615, 2.9141, -3.3876], [-1.0140, 3.4621, -3.9261], [1.9465, 1.5193, -3.3753], [2.8175, 0.8960, -3.7885], [-0.4153, 4.6683, -0.1096], [0.3354, 3.5675, 0.5413], [0.6111, 3.6772, 1.9771], [0.3496, 2.3742, -0.0258], [1.5357, 1.4973, -0.3285], [-1.0067, 5.1734, 0.6504], [-1.0906, 4.2701, -0.8640], [0.2791, 5.3720, -0.5646], [0.8988, 4.7029, 2.1926], [1.4380, 3.0244, 2.2521], [-0.2774, 3.4233, 2.5606], [1.3188, -4.7623, -0.5642], [1.6428, -3.1547, -0.3689], [0.6866, -2.4301, 0.2481], [-0.4200, -3.2452, 0.5800], [-1.5822, -2.8546, 1.2349], [-2.5281, -3.8290, 1.4737], [-2.3328, -5.1631, 1.0805], [-1.1782, -5.5574, 0.4416], [-0.2236, -4.5691, 0.1985], [2.5716, -2.7179, -0.7215], [-1.7515, -1.8374, 1.5589], [-3.4441, -3.5614, 1.9824], [-3.1015, -5.8943, 1.2890], [-1.0188, -6.5848, 0.1448]], "forces_ev_per_angstrom": [[0.13, -0.28, -0.07], [-0.22, 0.04, -0.02], [-0.01, -0.24, 0.26], [-0.32, 0.00, 0.32], [-0.10, 0.12, 0.08], [0.12, -0.14, -0.21], [0.00, 0.04, 0.08], [-0.06, 0.01, -0.03], [-0.01, 0.01, 0.00], [0.11, -0.12, 0.08], [-0.38, 0.00, 0.09], [0.07, 0.05, -0.10], [0.33, 0.17, -0.27], [0.25, 0.00, -0.09], [-0.01, 0.02, -0.02], [0.03, 0.01, -0.04], [0.01, 0.03, 0.02], [0.00, 0.00, 0.01], [-0.03, -0.03, 0.02], [0.00, 0.01, 0.01], [0.02, -0.34, -0.09], [-0.13, 0.45, 0.18], [0.15, 0.11, -0.24], [0.25, 0.30, 0.00], [-0.12, -0.13, 0.02], [-0.03, -0.04, 0.01], [-0.03, 0.05, 0.03], [0.03, 0.12, 0.01], [-0.10, -0.23, 0.00], [-0.01, -0.02, -0.01], [0.05, 0.02, -0.02], [0.00, -0.01, 0.00], [0.00, 0.01, 0.00], [0.01, 0.01, 0.00]], "total_energy_ev": -56760.393, "multiplicity": 2, "relative_energy_kj_mol": 425.9, "total_charge": 2}

Entry 3:
____________

What to do:
Say how many lines of the entries further above hold the word "total_energy_ev", as a bare number.

Result:
2